La2SbTe: optimized geometry, GGA-PBE.

Output
Calculated density = 6.25 Mg/m³
E_form (uncorrected) = -1400 meV per atom
Symmetry = R3m (160)
Energy relative to the lowest polymorph listed for this composition = 76 meV/atom
DOS at the Fermi energy = 0.844 states/eV per atom

abc: 8.385 8.385 8.385
angles: 31.16 31.16 31.16
Element x y z (fractional)
La 0.000 0.000 0.000
La 0.178 0.178 0.178
Sb 0.590 0.590 0.590
Te 0.421 0.421 0.421

***

KSr2S2: optimized geometry, GGA-PBE.

Output
Calculated density = 3.25 Mg/m³
E_form (uncorrected) = -1388 meV per atom
Symmetry = P4/mbm (127)
DOS at the Fermi energy = 0.189 states/eV per atom

abc: 8.327 8.327 4.102
angles: 90.00 90.00 90.00
Element x y z (fractional)
K 0.000 0.000 0.000
K 0.500 0.500 0.000
Sr 0.153 0.347 0.500
Sr 0.347 0.847 0.500
Sr 0.653 0.153 0.500
Sr 0.847 0.653 0.500
S 0.152 0.652 0.000
S 0.348 0.152 0.000
S 0.652 0.848 0.000
S 0.848 0.348 0.000

***

Tb2Ge3Au2: optimized geometry, GGA-PBE.

Output
Calculated density = 10.55 Mg/m³
Energy of formation from the pure elements = -0.6373 eV/atom
Symmetry = Cmcm (63)
DOS at the Fermi energy = 0.271 states/eV per atom

abc: 9.678 9.678 7.076
angles: 90.00 90.00 153.80
Element x y z (fractional)
Tb 0.050 0.950 0.750
Tb 0.153 0.847 0.250
Tb 0.847 0.153 0.750
Tb 0.950 0.050 0.250
Ge 0.221 0.779 0.750
Ge 0.440 0.560 0.568
Ge 0.440 0.560 0.932
Ge 0.560 0.440 0.068
Ge 0.560 0.440 0.432
Ge 0.779 0.221 0.250
Au 0.311 0.689 0.047
Au 0.311 0.689 0.453
Au 0.689 0.311 0.547
Au 0.689 0.311 0.953

***

- Which of these has the highest DOS at the Fermi energy?
  La2SbTe

----------

# PBE-GGA KB4Au, relaxed
data_KB4Au
_cell_length_a 2.665
_cell_length_b 5.749
_cell_length_c 9.576
_cell_angle_alpha 90.00
_cell_angle_beta 90.00
_cell_angle_gamma 90.00
_space_group_name_H-M_alt 'I m m m'
_space_group_IT_number 71
_space_group_name_Hall '-I 2 2'
loop_
_atom_site_label
_atom_site_fract_x
_atom_site_fract_y
_atom_site_fract_z
K1 0.000 0.000 0.000
B1 0.000 0.353 0.238
Au1 0.000 0.000 0.500
# Energy relative to the lowest polymorph listed for this composition, meV per atom: 0
# V, Å³/cell: 146.7

# PBE-GGA KTlBAu, relaxed
data_KTlBAu
_cell_length_a 7.145
_cell_length_b 7.145
_cell_length_c 7.145
_cell_angle_alpha 90.00
_cell_angle_beta 90.00
_cell_angle_gamma 90.00
_space_group_name_H-M_alt 'F -4 3 m'
_space_group_IT_number 216
_space_group_name_Hall 'F -4 2 3'
loop_
_atom_site_label
_atom_site_fract_x
_atom_site_fract_y
_atom_site_fract_z
K1 0.000 0.000 0.000
Tl1 0.000 0.000 0.500
B1 0.250 0.250 0.750
Au1 0.250 0.250 0.250
# Energy relative to the lowest polymorph listed for this composition, meV per atom: 0
# V, Å³/cell: 364.7

# PBE-GGA KTlBAu, relaxed
data_KTlBAu
_cell_length_a 7.133
_cell_length_b 7.133
_cell_length_c 7.133
_cell_angle_alpha 90.00
_cell_angle_beta 90.00
_cell_angle_gamma 90.00
_space_group_name_H-M_alt 'F -4 3 m'
_space_group_IT_number 216
_space_group_name_Hall 'F -4 2 3'
loop_
_atom_site_label
_atom_site_fract_x
_atom_site_fract_y
_atom_site_fract_z
K1 0.000 0.000 0.000
Tl1 0.250 0.250 0.750
B1 0.000 0.000 0.500
Au1 0.250 0.250 0.250
# Energy relative to the lowest polymorph listed for this composition, meV per atom: 77
# V, Å³/cell: 363.0

# PBE-GGA LiLaBAu, relaxed
data_LiLaBAu
_cell_length_a 6.646
_cell_length_b 6.646
_cell_length_c 6.646
_cell_angle_alpha 90.00
_cell_angle_beta 90.00
_cell_angle_gamma 90.00
_space_group_name_H-M_alt 'F -4 3 m'
_space_group_IT_number 216
_space_group_name_Hall 'F -4 2 3'
loop_
_atom_site_label
_atom_site_fract_x
_atom_site_fract_y
_atom_site_fract_z
Li1 0.000 0.000 0.000
La1 0.250 0.250 0.750
B1 0.250 0.250 0.250
Au1 0.000 0.000 0.500
# Energy relative to the lowest polymorph listed for this composition, meV per atom: 264
# V, Å³/cell: 293.6

# PBE-GGA LiLaBAu, relaxed
data_LiLaBAu
_cell_length_a 6.475
_cell_length_b 6.475
_cell_length_c 6.475
_cell_angle_alpha 90.00
_cell_angle_beta 90.00
_cell_angle_gamma 90.00
_space_group_name_H-M_alt 'F -4 3 m'
_space_group_IT_number 216

Retype all of the notes earlier on character by character.

La2SbTe: optimized geometry, GGA-PBE.

Output
Calculated density = 6.25 Mg/m³
E_form (uncorrected) = -1400 meV per atom
Symmetry = R3m (160)
Energy relative to the lowest polymorph listed for this composition = 76 meV/atom
DOS at the Fermi energy = 0.844 states/eV per atom

abc: 8.385 8.385 8.385
angles: 31.16 31.16 31.16
Element x y z (fractional)
La 0.000 0.000 0.000
La 0.178 0.178 0.178
Sb 0.590 0.590 0.590
Te 0.421 0.421 0.421

***

KSr2S2: optimized geometry, GGA-PBE.

Output
Calculated density = 3.25 Mg/m³
E_form (uncorrected) = -1388 meV per atom
Symmetry = P4/mbm (127)
DOS at the Fermi energy = 0.189 states/eV per atom

abc: 8.327 8.327 4.102
angles: 90.00 90.00 90.00
Element x y z (fractional)
K 0.000 0.000 0.000
K 0.500 0.500 0.000
Sr 0.153 0.347 0.500
Sr 0.347 0.847 0.500
Sr 0.653 0.153 0.500
Sr 0.847 0.653 0.500
S 0.152 0.652 0.000
S 0.348 0.152 0.000
S 0.652 0.848 0.000
S 0.848 0.348 0.000

***

Tb2Ge3Au2: optimized geometry, GGA-PBE.

Output
Calculated density = 10.55 Mg/m³
Energy of formation from the pure elements = -0.6373 eV/atom
Symmetry = Cmcm (63)
DOS at the Fermi energy = 0.271 states/eV per atom

abc: 9.678 9.678 7.076
angles: 90.00 90.00 153.80
Element x y z (fractional)
Tb 0.050 0.950 0.750
Tb 0.153 0.847 0.250
Tb 0.847 0.153 0.750
Tb 0.950 0.050 0.250
Ge 0.221 0.779 0.750
Ge 0.440 0.560 0.568
Ge 0.440 0.560 0.932
Ge 0.560 0.440 0.068
Ge 0.560 0.440 0.432
Ge 0.779 0.221 0.250
Au 0.311 0.689 0.047
Au 0.311 0.689 0.453
Au 0.689 0.311 0.547
Au 0.689 0.311 0.953

***

- Which of these has the highest DOS at the Fermi energy?
  La2SbTe

----------

# PBE-GGA KB4Au, relaxed
data_KB4Au
_cell_length_a 2.665
_cell_length_b 5.749
_cell_length_c 9.576
_cell_angle_alpha 90.00
_cell_angle_beta 90.00
_cell_angle_gamma 90.00
_space_group_name_H-M_alt 'I m m m'
_space_group_IT_number 71
_space_group_name_Hall '-I 2 2'
loop_
_atom_site_label
_atom_site_fract_x
_atom_site_fract_y
_atom_site_fract_z
K1 0.000 0.000 0.000
B1 0.000 0.353 0.238
Au1 0.000 0.000 0.500
# Energy relative to the lowest polymorph listed for this composition, meV per atom: 0
# V, Å³/cell: 146.7

# PBE-GGA KTlBAu, relaxed
data_KTlBAu
_cell_length_a 7.145
_cell_length_b 7.145
_cell_length_c 7.145
_cell_angle_alpha 90.00
_cell_angle_beta 90.00
_cell_angle_gamma 90.00
_space_group_name_H-M_alt 'F -4 3 m'
_space_group_IT_number 216
_space_group_name_Hall 'F -4 2 3'
loop_
_atom_site_label
_atom_site_fract_x
_atom_site_fract_y
_atom_site_fract_z
K1 0.000 0.000 0.000
Tl1 0.000 0.000 0.500
B1 0.250 0.250 0.750
Au1 0.250 0.250 0.250
# Energy relative to the lowest polymorph listed for this composition, meV per atom: 0
# V, Å³/cell: 364.7

# PBE-GGA KTlBAu, relaxed
data_KTlBAu
_cell_length_a 7.133
_cell_length_b 7.133
_cell_length_c 7.133
_cell_angle_alpha 90.00
_cell_angle_beta 90.00
_cell_angle_gamma 90.00
_space_group_name_H-M_alt 'F -4 3 m'
_space_group_IT_number 216
_space_group_name_Hall 'F -4 2 3'
loop_
_atom_site_label
_atom_site_fract_x
_atom_site_fract_y
_atom_site_fract_z
K1 0.000 0.000 0.000
Tl1 0.250 0.250 0.750
B1 0.000 0.000 0.500
Au1 0.250 0.250 0.250
# Energy relative to the lowest polymorph listed for this composition, meV per atom: 77
# V, Å³/cell: 363.0

# PBE-GGA LiLaBAu, relaxed
data_LiLaBAu
_cell_length_a 6.646
_cell_length_b 6.646
_cell_length_c 6.646
_cell_angle_alpha 90.00
_cell_angle_beta 90.00
_cell_angle_gamma 90.00
_space_group_name_H-M_alt 'F -4 3 m'
_space_group_IT_number 216
_space_group_name_Hall 'F -4 2 3'
loop_
_atom_site_label
_atom_site_fract_x
_atom_site_fract_y
_atom_site_fract_z
Li1 0.000 0.000 0.000
La1 0.250 0.250 0.750
B1 0.250 0.250 0.250
Au1 0.000 0.000 0.500
# Energy relative to the lowest polymorph listed for this composition, meV per atom: 264
# V, Å³/cell: 293.6

# PBE-GGA LiLaBAu, relaxed
data_LiLaBAu
_cell_length_a 6.475
_cell_length_b 6.475
_cell_length_c 6.475
_cell_angle_alpha 90.00
_cell_angle_beta 90.00
_cell_angle_gamma 90.00
_space_group_name_H-M_alt 'F -4 3 m'
_space_group_IT_number 216